What are your UNPOPULAR Ed, Edd n Eddy opinions?
What are your UNPOPULAR Ed, Edd n Eddy opinions?
the school episodes where pure shite
the school episodes were god tier
Double D is best girl
I never liked season 1 as a kid. it seemed extra gross and weird and cringey compared to the rest of it.
I haven't watched the show in like a decade though so I can't say if I was right or not.
the school episodes were meh. some were fun, but they all lacked the same sense of carefree fun the original series had. Big picture show was amazing though.
Did you start this thread for le epic screencap?
its not my thread its my unpopular opinion
it was shit
The first two seasons were shit, season three and beyond is good.
The first season is way rougher than the rest for sure, I definitely think it's weaker than the rest of the show.
May is the best Kanker.
Eddy did nothing wrong.
-- Attached: records of molecules --
Computed, not measured: a cluster of 12 separate species, C27H23Cl44F9N2O7PS in total at a distorted geometry, with the ωB97M-V functional and the def2-TZVPD basis.

```
114
Properties=species:S:1:pos:R:3
C 0.726 -2.821 -2.249
C 0.417 -1.822 -1.061
C 1.099 -2.582 0.167
C 2.629 -2.205 0.272
C 3.397 -3.072 1.372
C 4.446 -2.139 2.069
C 4.175 -1.620 3.497
F 5.283 -1.901 4.276
F 4.193 -0.227 3.421
C 2.824 -1.960 4.198
F 1.738 -1.729 3.431
F 2.694 -1.036 5.205
S 2.695 -3.621 5.056
F 3.839 -4.301 4.152
F 3.744 -3.186 6.220
F 1.524 -2.992 6.015
F 1.494 -4.139 4.097
F 2.570 -5.050 5.833
C 0.808 -0.331 -1.253
C 1.067 0.229 -2.699
O 0.595 -0.259 -3.736
O 1.794 1.289 -2.755
N -0.309 0.535 -0.694
C -0.975 -0.372 0.221
O -1.310 -0.184 1.347
C -1.131 -1.683 -0.677
C -1.841 -2.898 -0.002
C -1.913 -4.196 -0.922
C -3.293 -4.873 -0.618
N -4.425 -4.265 -1.197
O -3.322 -5.825 0.112
C -2.124 -1.178 -1.817
P -3.501 -0.072 -1.260
O -4.122 -0.449 0.035
O -4.689 -0.194 -2.412
O -3.119 1.524 -1.197
H 1.814 -2.767 -2.496
H 0.510 -3.876 -1.982
H 0.096 -2.520 -3.113
H 1.025 -3.688 0.066
H 0.612 -2.310 1.137
H 2.647 -1.144 0.615
H 3.148 -2.359 -0.697
H 2.604 -3.502 2.016
H 3.909 -3.921 0.861
H 5.425 -2.681 2.084
H 4.627 -1.271 1.392
H 1.684 0.072 -0.690
H 0.129 1.195 -0.041
H -1.373 -3.207 0.964
H -2.899 -2.651 0.255
H -1.816 -3.949 -2.003
H -1.063 -4.858 -0.660
H -4.290 -4.052 -2.184
H -5.246 -4.868 -1.140
H -2.619 -2.023 -2.356
H -1.557 -0.619 -2.612
H -5.475 0.279 -2.089
H -2.763 1.676 -0.303
C 3.247 -2.347 -5.533
Cl 3.794 -2.876 -3.931
Cl 1.668 -3.076 -5.888
Cl 3.100 -0.592 -5.551
Cl 4.426 -2.860 -6.759
C -6.406 2.835 -4.051
Cl -7.415 4.256 -4.366
Cl -5.999 2.044 -5.582
Cl -4.921 3.333 -3.231
Cl -7.295 1.698 -3.018
C -0.339 4.258 -0.895
Cl -1.658 3.851 0.218
Cl -0.441 3.205 -2.299
Cl -0.465 5.956 -1.408
Cl 1.213 4.015 -0.073
C -8.637 7.219 -1.639
Cl -10.038 6.171 -1.919
Cl -8.894 8.166 -0.164
Cl -7.185 6.227 -1.460
Cl -8.436 8.316 -3.017
C -6.150 -1.754 3.228
Cl -7.881 -1.966 3.562
Cl -5.791 -0.031 3.050
Cl -5.202 -2.420 4.566
Cl -5.726 -2.606 1.740
C 5.346 2.595 3.626
Cl 6.338 1.659 2.496
Cl 3.899 3.184 2.793
Cl 4.867 1.564 4.985
Cl 6.281 3.977 4.228
C -1.493 -6.510 3.642
Cl -0.469 -6.204 5.054
Cl -2.236 -8.113 3.785
Cl -2.757 -5.278 3.554
Cl -0.504 -6.447 2.173
C 6.471 8.065 2.676
Cl 7.514 8.269 4.096
Cl 5.539 6.569 2.833
Cl 5.356 9.438 2.555
Cl 7.469 7.987 1.216
C 3.753 -7.179 -5.904
Cl 3.486 -8.014 -7.445
Cl 5.432 -6.622 -5.818
Cl 2.665 -5.787 -5.789
Cl 3.433 -8.297 -4.565
C 2.797 8.810 -1.114
Cl 3.842 9.213 0.264
Cl 3.764 8.765 -2.600
Cl 2.072 7.222 -0.831
Cl 1.524 10.034 -1.277
C -1.952 8.545 1.262
Cl -2.590 9.478 -0.104
Cl -0.253 8.965 1.525
Cl -2.883 8.927 2.724
Cl -2.084 6.817 0.910
```

Computed properties:
**Net charge**: -1
**Molar mass**: 2281.4 g mol⁻¹
**Multiplicity**: 1
**HOMO-LUMO gap**: 6.71 eV
**DFT total energy**: -23565.552636 Eh
**E_HOMO**: -5.4 eV
-- Here the entry continues --
The first season was super comfy to watch. It was before they decided to go overboard with the slapstick especially in season 5 onwards.
The characters look really lumpy and weird in season 1, so I know what you mean. The tone just *feels* a bit gross and unpleasant, even if the humor wasn't trying to be extra gross or anything.
how can you have such shit taste
Skipper is a nice middle name.
I have to agree. Even if he was a greedy asshole, he was at least genuinely entertaining and creative. What the hell would the other kids be doing with their time without the Eds' scams?
Here the article breaks off for quantum chemistry results:
********
[1]
C35H74N7O5S2 | ωB97M-V/def2-TZVPD

Computed properties:
Charge   +1
F_max   1.68 eV Å⁻¹
Kohn-Sham gap   5.622 eV
LUMO level   -4.15 eV

Last column: Mulliken charge in e.
Element x y z (Å)
C 1.4383 1.5980 3.7380  -1.267
C 0.4851 0.6235 4.4681  -0.106
C 1.1812 -0.1217 5.6173  -0.460
C 0.7408 -1.5815 5.8861  -1.618
N 0.3181 -2.3900 4.7391  0.080
C 1.2421 -2.4753 3.6113  -0.805
C 2.7190 -2.5470 4.0130  -1.017
C 3.5522 -3.2047 2.9065  -1.263
C 3.8564 -2.2599 1.7375  -0.324
N 3.8927 -2.9506 0.3992  0.533
C 4.9891 -3.7468 0.2757  -0.542
N 4.9853 -4.9779 0.9149  -0.297
N 6.1009 -3.4455 -0.4047  0.379
C 7.2861 -3.4277 0.5024  -0.915
C 6.0215 -2.3393 -1.3862  -1.325
C 4.9804 -1.3076 -1.0312  0.159
O 4.9124 -0.4419 -2.1360  -0.597
C 3.6676 -2.0565 -0.7586  1.128
C 3.1373 -2.8734 -1.9373  -1.529
C 2.3104 -2.0712 -2.9465  -0.563
C 1.0151 -1.4395 -2.3876  -0.811
C 1.0917 0.1068 -2.3923  -1.049
C 0.5479 0.7918 -1.1301  -0.005
C -1.0006 0.8253 -1.1081  -1.047
C -1.5392 2.2505 -0.9818  -0.227
C -1.2142 2.8897 0.3624  -0.444
O -1.5693 4.2522 0.3928  -0.471
C -2.9321 4.5215 0.7101  -0.544
C -1.0133 -2.4075 4.4084  0.558
S -1.6037 -3.4196 3.2429  -0.349
S -2.0829 -1.3437 5.3135  -0.148
C -3.7268 -2.0667 5.1256  -0.719
C -4.4858 -1.8601 6.4545  -0.386
C -5.9957 -2.0610 6.2489  -1.139
H 1.1577 1.6665 2.6841  0.041
H 1.4384 2.5935 4.1781  0.401
H 2.4613 1.2062 3.7452  0.356
H -0.3513 1.2115 4.8481  0.513
H 0.0688 -0.0491 3.7172  0.072
H 2.2670 -0.0728 5.5105  0.494
H 0.9708 0.4285 6.5399  0.438
H 1.5839 -2.0942 6.3563  0.316
H -0.0390 -1.5897 6.6421  0.624
H 1.0891 -1.6829 2.8671  0.215
H 1.0170 -3.4056 3.0862  0.831
H 2.8706 -3.0745 4.9529  0.487
H 3.1051 -1.5289 4.1417  0.114
H 4.5025 -3.4980 3.3669  0.396
H 3.0517 -4.1017 2.5399  0.707
H 4.8143 -1.7639 1.9216  0.224
H 3.0972 -1.4863 1.6291  0.535
H 4.5989 -5.7793 0.4498  0.199
H 5.2443 -5.0355 1.8823  0.237
H 8.1212 -2.9881 -0.0298  0.421
H 7.5690 -4.4499 0.7533  0.350
H 7.0880 -2.8980 1.4342  0.314
H 5.8014 -2.7747 -2.3603  0.254
H 7.0005 -1.8735 -1.4773  0.547
H 5.3150 -0.7659 -0.1376  0.409
H 4.3956 0.3288 -1.9071  0.441
H 2.9128 -1.3046 -0.5134  -0.344
H 2.5065 -3.6799 -1.5522  0.390
H 3.9411 -3.3584 -2.5025  0.367
H 2.9215 -1.3304 -3.4628  0.641
H 1.9989 -2.7938 -3.7070  -0.102
H 0.1713 -1.7965 -2.9742  0.722
H 0.8702 -1.7618 -1.3489  0.397
H 2.1383 0.4120 -2.5190  0.301
H 0.5470 0.4917 -3.2596  0.569
H 0.9575 0.2939 -0.2441  -0.333
H 0.9018 1.8270 -1.1628  0.535
H -1.3769 0.2452 -0.2575  0.390
H -1.3936 0.3338 -2.0007  0.482
H -2.6282 2.2443 -1.0994  0.318
H -1.1340 2.8819 -1.7817  0.158
H -1.7097 2.3206 1.1615  0.386
H -0.1384 2.8550 0.5616  0.156
H -3.3867 5.0723 -0.1160  0.051
H -3.5153 3.6118 0.8628  0.360
H -2.9747 5.1261 1.6194  0.298
H -3.6572 -3.1223 4.8742  0.420
H -4.2336 -1.5317 4.3232  0.407
H -4.2530 -0.8532 6.8095  0.342
H -4.0901 -2.5816 7.1699  0.286
H -6.2566 -1.9108 5.2000  0.343
H -6.5846 -1.3646 6.8408  0.326
H -6.2690 -3.0833 6.5104  0.291
C 0.0673 -4.6920 -5.4543  0.083
********
Kevin would be riding in circles with his stupid bikefu
Rolf would be doing his boring farm chores
Nazz would be living a life where she secretly begs for Kevin to take a fucking hint and plow her
Sarah and Jimmy would be having their lame tea parties
Jonny would be doing... stuff
Kids are all about the status quo user, even if it's fucking boring.
school episodes were meh, but cool hand ed is the shit, i always wanted to escape school in a plane made out of junk
Was it rape?
I mean I guess
Misplaced quantum chemistry results:
=====
Record 1
Formula: H15O7
Source: OMol25
Level of theory: ωB97M-V with the def2-TZVPD basis set

Structure (XYZ):
```
22
Properties=species:S:1:pos:R:3:forces:R:3:nbo_charge:R:1
O -1.069 -0.566 0.424 -0.3 0.5 0.2 -0.8322
H -0.333 -0.336 1.046 0.1 -0.1 -0.2 0.5677
H -1.400 0.281 -0.043 0.4 -0.8 0.1 0.5462
H -0.838 -1.327 -0.196 -0.1 0.5 0.1 0.5702
O -1.750 1.482 -0.989 0.5 -1.3 -0.3 -0.9432
H -2.087 2.354 -0.954 -0.7 1.5 0.5 0.5156
H -1.531 1.351 -1.913 -0.1 -0.3 -0.4 0.4989
O 0.187 -2.360 2.089 0.1 -0.7 0.3 -0.9902
H 0.511 -1.571 2.560 -0.1 -1.0 0.3 0.4868
H 0.303 -3.197 2.609 0.0 1.6 -0.5 0.5011
O 0.709 0.480 2.299 0.5 -1.6 -0.7 -0.9715
H 1.658 0.480 2.478 -0.2 0.2 0.0 0.5056
H 0.332 1.266 2.637 -0.4 1.4 0.8 0.5020
O 0.867 2.834 -1.187 -0.3 -0.8 0.6 -0.9465
H 0.828 3.396 -1.949 -0.1 0.4 -0.6 0.4742
H 0.149 2.177 -1.253 0.7 0.6 0.1 0.4627
O -0.848 -2.218 -1.562 0.6 0.4 0.8 -0.9371
H -0.114 -2.507 -2.076 2.0 -0.3 0.1 0.4946
H -1.474 -2.423 -2.216 -2.6 -0.2 -0.9 0.4933
O 1.613 0.025 -0.449 -1.5 -1.0 -1.7 -0.9518
H 1.937 0.038 -1.362 -0.3 0.0 0.1 0.4792
H 2.349 0.341 0.008 1.8 0.9 1.4 0.4746
```
Forces are in eV/Å.

Properties
* total charge: +1
* LUMO: -3.163 eV
* M: 127.11 g mol⁻¹
* relative energy (zero: lowest compared OMol25 entry of this formula, charge and spin): 41.28 kcal/mol
* total energy: -14569.5498 eV

***

Record 2
Formula: C29H38BrClF6N2O8P
Source: OMol25
Level of theory: ωB97M-V with the def2-TZVPD basis set

Structure (XYZ):
```
86
Properties=species:S:1:pos:R:3:forces:R:3:lowdin_charge:R:1
C -5.450 6.111 0.752 0.0 -1.4 0.8 -0.0571
C -4.637 4.805 0.706 -0.4 0.2 0.3 -0.3280
C -3.504 4.721 1.720 0.3 1.2 -1.0 -0.0656
C -4.972 3.840 -0.163 0.3 -0.3 -0.1 -0.0897
C -3.992 2.857 -0.823 -0.7 0.2 1.5 -0.1756
C -3.678 1.703 0.155 0.2 -0.6 -1.4 -0.1942
C -2.539 0.749 -0.309 -0.1 -0.2 1.8 -0.3334
C -2.454 -0.367 0.803 0.1 0.1 -0.7 -0.0647
C -1.170 1.464 -0.409 -0.7 0.4 -0.6 -0.1608
C -0.254 0.948 -1.536 -0.2 0.5 0.5 -0.1470
C 0.013 -0.565 -1.512 0.5 0.3 -1.7 -0.3282
O 1.258 -0.931 -0.892 -0.1 -0.6 0.5 -0.1598
C 1.106 -1.734 0.231 -0.2 0.8 0.4 -0.5747
Br 0.375 -3.530 -0.205 0.1 0.3 0.0 0.8555
C 2.402 -1.773 1.100 0.6 -0.2 0.5 -0.3035
N 2.339 -2.978 1.938 -0.1 0.6 0.4 -0.0338
C 1.394 -2.871 3.056 -0.7 -1.0 0.4 -0.1439
C 0.894 -4.269 3.530 1.4 0.6 0.8 -0.3675
C 1.840 -5.417 3.147 -1.1 -0.3 0.4 -0.0389
F -0.411 -4.509 3.138 0.2 -0.2 -0.3 -0.0286
C 2.555 -0.498 1.963 0.0 -0.2 -0.2 -0.1321
C 3.421 -0.477 3.051 0.1 -0.3 0.2 -0.0284
C 3.520 0.683 3.792 0.0 -0.2 -0.1 -0.0472
C 2.776 1.776 3.386 0.3 1.1 0.8 -0.1525
N 1.970 1.818 2.340 0.0 -0.5 0.1 0.1018
C 1.877 0.670 1.676 -0.6 -0.1 -1.0 -0.0768
C 3.701 -1.866 0.236 -0.3 -0.6 -0.1 -0.3915
F 3.900 -0.662 -0.347 0.1 -0.2 -0.1 0.1243
F 4.803 -2.049 1.053 -0.3 -0.1 0.2 0.0915
C 3.728 -2.996 -0.785 0.1 0.7 -0.3 -0.1138
C 3.614 -4.337 -0.471 0.2 0.3 0.9 -0.0433
C 3.692 -5.277 -1.468 0.0 -1.3 0.0 -0.0549
C 3.888 -4.934 -2.779 0.2 0.3 -1.1 -0.0061
C 4.000 -3.593 -3.105 -0.5 0.3 -0.2 -0.1180
=====
End of the quantum chemistry results:
eddy and double d have some serious chemistry going on in some episodes. it may just be the arguing-like-an-old-married-couple trope tainting my perspective but it's there man, it's there
>Unpopular opinion
The kids need to stop bitching about the scams, as their entertainment value and time/resource investment is well worth the mere quarters they ask for.
I believe Ed's mom really does bear a striking resemblance to Johnny.
It's bromance and not romantic or sexual in any way
The girls were the weakest part of this show, Sarah was the only one who felt like a character. The Kankers were more of a comical force than characters, and Nazz was literally just there to *be* a girl.
Not saying there should have been nonsense like shipping or Boys vs Girls, but one or two female characters developed well like Rolf or Johnny would've added a lot more room for unique character interactions. Which all around, would've improved the school episodes of the later two seasons.
The Kanker Sisters aren’t that hot.